**Work order**
What is needed: copy only the last part of the block further below, starting with the line that has "0.704 0.994".

**Given**
********
Record 1
Compound: Na4Mg2Ta2Si3S3O24
Source: the Materials Project database
Functional: PBE
Structure: relaxed

Calculated values
Formation energy from the elements, kJ/mol of atoms: -252.72
Magnetization, μB/f.u.: 0.00
Total energy, eV per formula unit: -262.68
Crystal system: triclinic

Cell and atoms, written as CIF:
```
data_Na4Mg2Ta2Si3S3O24
_chemical_formula_sum 'Na12 Mg6 Ta6 Si9 S9 O72'
_cell_length_a 8.888
_cell_length_b 8.948
_cell_length_c 22.637
_cell_angle_alpha 89.67
_cell_angle_beta 89.93
_cell_angle_gamma 60.27
_symmetry_space_group_name_H-M 'P 1'
_symmetry_Int_Tables_number 1
loop_
_symmetry_equiv_pos_as_xyz
'x,y,z'
loop_
_atom_site_label
_atom_site_type_symbol
_atom_site_fract_x
_atom_site_fract_y
_atom_site_fract_z
Na1 Na 0.000 0.000 0.000
Na2 Na 0.002 0.985 0.489
Na3 Na 0.010 0.650 0.092
Na4 Na 0.313 0.642 0.577
Na5 Na 0.322 0.312 0.156
Na6 Na 0.339 0.315 0.653
Na7 Na 0.359 0.973 0.744
Na8 Na 0.634 0.667 0.829
Na9 Na 0.637 0.979 0.245
Na10 Na 0.669 0.648 0.319
Na11 Na 0.687 0.320 0.406
Na12 Na 0.978 0.310 0.924
Mg1 Mg 0.004 0.982 0.852
Mg2 Mg 0.328 0.302 0.022
Mg3 Mg 0.330 0.323 0.518
Mg4 Mg 0.640 0.660 0.683
Mg5 Mg 0.672 0.648 0.186
Mg6 Mg 0.995 0.985 0.349
Ta1 Ta 0.318 0.346 0.309
Ta2 Ta 0.329 0.324 0.812
Ta3 Ta 0.642 0.657 0.480
Ta4 Ta 0.651 0.673 0.985
Ta5 Ta 0.973 0.006 0.147
Ta6 Ta 0.999 0.985 0.641
Si1 Si 0.286 0.699 0.751
Si2 Si 0.306 0.630 0.420
Si3 Si 0.321 0.030 0.917
Si4 Si 0.371 0.963 0.587
Si5 Si 0.648 0.963 0.090
Si6 Si 0.655 0.365 0.586
Si7 Si 0.701 0.294 0.256
Si8 Si 0.951 0.368 0.083
Si9 Si 0.983 0.710 0.250
S1 S 0.033 0.618 0.916
S2 S 0.034 0.331 0.418
S3 S 0.276 0.996 0.251
S4 S 0.365 0.663 0.084
S5 S 0.612 0.033 0.417
S6 S 0.613 0.328 0.916
S7 S 0.704 0.994 0.752
S8 S 0.939 0.661 0.585
S9 S 0.986 0.286 0.750
O1 O 0.019 0.168 0.699
O2 O 0.025 0.793 0.189
O3 O 0.116 0.519 0.579
O4 O 0.120 0.348 0.363
O5 O 0.126 0.499 0.863
O6 O 0.131 0.365 0.074
O7 O 0.135 0.544 0.970
O8 O 0.136 0.311 0.470
O9 O 0.146 0.019 0.910
O10 O 0.156 0.823 0.412
O11 O 0.158 0.289 0.755
O12 O 0.159 0.794 0.691
O13 O 0.162 0.511 0.257
O14 O 0.166 0.027 0.197
O15 O 0.179 0.957 0.590
O16 O 0.186 0.825 0.804
O17 O 0.192 0.824 0.085
O18 O 0.195 0.978 0.304
O19 O 0.290 0.163 0.967
O20 O 0.296 0.156 0.256
O21 O 0.298 0.505 0.759
O22 O 0.299 0.534 0.478
O23 O 0.323 0.154 0.574
O24 O 0.338 0.517 0.072
O25 O 0.349 0.491 0.362
O26 O 0.350 0.128 0.855
O27 O 0.450 0.849 0.243
O28 O 0.454 0.689 0.028
O29 O 0.467 0.640 0.136
O30 O 0.468 0.820 0.530
O31 O 0.470 0.883 0.647
O32 O 0.476 0.679 0.747
O33 O 0.486 0.349 0.576
O34 O 0.499 0.351 0.861
O35 O 0.500 0.836 0.922
O36 O 0.503 0.155 0.078
O37 O 0.503 0.629 0.422
O38 O 0.507 0.106 0.362
O39 O 0.512 0.284 0.259
O40 O 0.520 0.157 0.755
O41 O 0.524 0.140 0.468
O42 O 0.526 0.314 0.968
O43 O 0.626 0.871 0.146
O44 O 0.630 0.487 0.639
O45 O 0.632 0.485 0.916
O46 O 0.636 0.854 0.425
O47 O 0.651 0.487 0.244
O48 O 0.678 0.846 0.747
O49 O 0.685 0.825 0.029
O50 O 0.691 0.458 0.524
O51 O 0.781 0.024 0.697
O52 O 0.784 0.020 0.413
O53 O 0.784 0.176 0.907
O54 O 0.796 0.157 0.197
O55 O 0.798 0.986 0.805
O56 O 0.804 0.208 0.315
O57 O 0.816 0.689 0.245
O58 O 0.825 0.458 0.019
O59 O 0.832 0.172 0.593
O60 O 0.834 0.690 0.531
O61 O 0.844 0.954 0.089
O62 O 0.847 0.461 0.741
O63 O 0.850 0.491 0.135
O64 O 0.857 0.646 0.638
O65 O 0.858 0.497 0.421
O66 O 0.862 0.618 0.918
O67 O 0.955 0.828 0.589
O68 O 0.960 0.213 0.805
O69 O 0.962 0.825 0.305
O70 O 0.975 0.171 0.089
O71 O 0.999 0.187 0.413
O72 O 0.999 0.793 0.906
```



Record 2
Compound: Na9Mg5Ta7Si9S9O72
Source: the Materials Project database
Functional: PBE
Structure: relaxed

Calculated values
Formation energy from the elements, kJ/mol of atoms: -256.81
Magnetization, μB/f.u.: 0.00
Total energy, eV per formula unit: -791.20
Crystal system: triclinic

Cell and atoms, written as CIF:
```
data_Na9Mg5Ta7Si9S9O72
_chemical_formula_sum 'Na9 Mg5 Ta7 Si9 S9 O72'
_cell_length_a 8.863
_cell_length_b 8.880
_cell_length_c 22.708
_cell_angle_alpha 89.97
********

**Result**
S7 S 0.704 0.994 0.752
S8 S 0.939 0.661 0.585
S9 S 0.986 0.286 0.750
O1 O 0.019 0.168 0.699
O2 O 0.025 0.793 0.189
O3 O 0.116 0.519 0.579
O4 O 0.120 0.348 0.363
O5 O 0.126 0.499 0.863
O6 O 0.131 0.365 0.074
O7 O 0.135 0.544 0.970
O8 O 0.136 0.311 0.470
O9 O 0.146 0.019 0.910
O10 O 0.156 0.823 0.412
O11 O 0.158 0.289 0.755
O12 O 0.159 0.794 0.691
O13 O 0.162 0.511 0.257
O14 O 0.166 0.027 0.197
O15 O 0.179 0.957 0.590
O16 O 0.186 0.825 0.804
O17 O 0.192 0.824 0.085
O18 O 0.195 0.978 0.304
O19 O 0.290 0.163 0.967
O20 O 0.296 0.156 0.256
O21 O 0.298 0.505 0.759
O22 O 0.299 0.534 0.478
O23 O 0.323 0.154 0.574
O24 O 0.338 0.517 0.072
O25 O 0.349 0.491 0.362
O26 O 0.350 0.128 0.855
O27 O 0.450 0.849 0.243
O28 O 0.454 0.689 0.028
O29 O 0.467 0.640 0.136
O30 O 0.468 0.820 0.530
O31 O 0.470 0.883 0.647
O32 O 0.476 0.679 0.747
O33 O 0.486 0.349 0.576
O34 O 0.499 0.351 0.861
O35 O 0.500 0.836 0.922
O36 O 0.503 0.155 0.078
O37 O 0.503 0.629 0.422
O38 O 0.507 0.106 0.362
O39 O 0.512 0.284 0.259
O40 O 0.520 0.157 0.755
O41 O 0.524 0.140 0.468
O42 O 0.526 0.314 0.968
O43 O 0.626 0.871 0.146
O44 O 0.630 0.487 0.639
O45 O 0.632 0.485 0.916
O46 O 0.636 0.854 0.425
O47 O 0.651 0.487 0.244
O48 O 0.678 0.846 0.747
O49 O 0.685 0.825 0.029
O50 O 0.691 0.458 0.524
O51 O 0.781 0.024 0.697
O52 O 0.784 0.020 0.413
O53 O 0.784 0.176 0.907
O54 O 0.796 0.157 0.197
O55 O 0.798 0.986 0.805
O56 O 0.804 0.208 0.315
O57 O 0.816 0.689 0.245
O58 O 0.825 0.458 0.019
O59 O 0.832 0.172 0.593
O60 O 0.834 0.690 0.531
O61 O 0.844 0.954 0.089
O62 O 0.847 0.461 0.741
O63 O 0.850 0.491 0.135
O64 O 0.857 0.646 0.638
O65 O 0.858 0.497 0.421
O66 O 0.862 0.618 0.918
O67 O 0.955 0.828 0.589
O68 O 0.960 0.213 0.805
O69 O 0.962 0.825 0.305
O70 O 0.975 0.171 0.089
O71 O 0.999 0.187 0.413
O72 O 0.999 0.793 0.906
```



Record 2
Compound: Na9Mg5Ta7Si9S9O72
Source: the Materials Project database
Functional: PBE
Structure: relaxed

Calculated values
Formation energy from the elements, kJ/mol of atoms: -256.81
Magnetization, μB/f.u.: 0.00
Total energy, eV per formula unit: -791.20
Crystal system: triclinic

Cell and atoms, written as CIF:
```
data_Na9Mg5Ta7Si9S9O72
_chemical_formula_sum 'Na9 Mg5 Ta7 Si9 S9 O72'
_cell_length_a 8.863
_cell_length_b 8.880
_cell_length_c 22.708
_cell_angle_alpha 89.97